Sunday, December 16, 2012

Our Time While Back At Resort In Robertsdale, AL


                                     Saturday 12/1/2012

After Joe got back from Myrtle Beach, we moved our Nest from the resort in Gulf Shores back to Styx River Resort in Robertsdale, AL. We can stay at Styx River free for three weeks with the membership we purchased last fall.

During the week, I don't get to see the girls or the grand kids, because they are working and in daycare or school. On the weekends, we drive in to spend some time with the kids. On this Saturday, we walked Lennox to the park which is only a couple of blocks from his home.

It was a beautiful day at the park.

Lennox ran from one thing at the park to the next thing the whole time we were there.

Joe watched Mallery ( who was not allowed in the playground),

while I ran around watching Lennox.

The next weekend we brought Lennox back, because he had such a good time expending his energy. This is a fun game in the park that flashes lights, and the participates run from flashing light, hitting them and trying to get as many lights as possible, to get the highest score when the game was over. Joe was playing the game with Lennox in this picture.

Lennox tried real hard not to cry when it was time to go, but that is a pretty hard thing not to do for a four year old. Here Lennox was trying real hard to follow his mom's instructions to be good and come home when Nana and Papa say it was time to go. He starts to whine, then got it together, than got a little upset and pushes his big wheel, then got it together again. When we got home he finally gave into his sadness and lets it all out!

We stopped down to see Alisha after we dropped Lennox off at home. Robbin had climbed to almost the top of the Christmas tree. Can you see Robin ( the white spot )  near the top of the tree.

Robin was enjoying his time in the tree,

trying to bat at the ornaments balls.

" Oh I just can barely reach that ornament"!
Noah and Maddie were at their Nana Cathy's in Spanish Fort that weekend so we didn't get to see them.

One morning, while I was still in bed, Joe got out of bed and said, " I thing something is wrong with your dog"! I jumped out of bed and found Mallery laying at the end of the bed between the footstool (that she uses to get into the bed) and dresser draws. She had her eyes open, but she just laided there. I told Joe to watch her,while I got my cloths on, and then when I got dressed, I told Joe to get dressed. I knelt down and comforted her, asking her if she was OK. I was afraid to pick her up, because we didn't know what had happened to her, and we were afraid she might have hurt her spine. Joe was just finishing getting dressed, so I told him to call the resort office and to get the nearest veterinary number. As Joe called the office, Mallery started to lift her head, as if to try to get up. Her second attempt managed to get her head and shoulders off the ground. At that point I picked her up. Joe called the veterinary and they told us to bring her in. When we got outside, I asked Joe if Mallery had been outside yet that morning and he said no. I set Mallery down and she got up, and stumbled a little. After getting her balance, she went to the bathroom. Joe asked if I still wanted to take her in, and I said yes. After blood work and exam, the veterinary thought she had an seizure. Mallery's heart was fine, but she did have a high calcium count. We were instructed to take her home and watch her. If she continued to have more seizures she would be put on medicine. That was about a week ago, and everything has been fine. We do need to take her in and get another calcium check. If her calcium is still high, it could be some other problem. While I was in the Veterinary office I saw this chart. According to this chart, Mallery is only 60 years old. Because she is 11years old, I thought she was 7 times 11 or 77 years old. But because she is under 20 lbs, she ages slower than big dogs.

Here is the bottom of the chart for those who  have older dogs.

This chart is for cats. They are on the same schedule as small dogs.

Joe has been playing Texas Hold -em, every night here at the resort. He is way ahead and can play10 nights at $5 a game, before he would have to pay to play. We will be moving back to Gulf Shores on Monday for a month, which I am glad about. I don't like being so far from the girls and kids. I told Joe next year we are not staying at Styx River as long as we have this year.

Wednesday, December 12, 2012

Bays Around Gulf Shores, and Cordova Mall in Pensacola

Tuesday 11/20/2012

While Joe was still gone at Myrtle Beach in South Carolina, I had a dentist appointment in Daphne, AL. Mom went with me, and after the appointment, I took a different route back to Gulf Shores, AL. This is a picture south of the town of Fairhope, AL. on the east side of Mobile Bay.

The water in Mobile Bay is very muddy and you could not see the bottom even in a foot of water.

We stopped at the Mullet Point Park along Mobile Bay.


                                     Thursday 11/22/2012

For Thanksgiving Mom, Alisha, the kids and I were invited to Jamie's sister Sonya, and brother in law Trey's home in Bay Minette, AL. Jamie is still in Afghanistan, Joe was in South Carolina with his family, and Tiffany and Blake went to Atlanta,Georgia with Blake's mom's family. This is a picture of Sonya's home from the backside.

Hayleah, Noah and Mom enjoying their patio after Thanksgiving dinner.
Sonya taking a picture of  TJ (Sonya's son) and Maddie in her pick tutu. Sonya's two daughters Ali and Alex were also there but I didn't get any pictures of them. Jamie's mother Cathy was also there. Jamie's dad is in Afghanistan at the same base as Jamie. We would have had a very small Thanksgiving on our own, so it was really nice to be invited to Jamie's family. The Hilemen clan, always have a ton of food, so we were well feed and feeling like stuffed turkeys ourselves, as we left for the evening. 

                                    Saturday 11/24/2012

# Between two parts of the page: crystal structures
........
(1)
Ba2TlAg2Pd5 | PBE-GGA | relaxed

Lattice parameters (Å, degrees): 10.3901 10.3901 4.0852 90.00 90.00 90.00
Positions (direct):
Ba  0.1761  0.3239  0.0000
Ba  0.3239  0.8239  0.0000
Ba  0.6761  0.1761  0.0000
Ba  0.8239  0.6761  0.0000
Tl  0.0000  0.0000  0.0000
Tl  0.5000  0.5000  0.0000
Ag  0.1230  0.6230  0.0000
Ag  0.3770  0.1230  0.0000
Ag  0.6230  0.8770  0.0000
Ag  0.8770  0.3770  0.0000
Pd  0.0000  0.5000  0.5000
Pd  0.0563  0.7998  0.5000
Pd  0.2002  0.0563  0.5000
Pd  0.2998  0.5563  0.5000
Pd  0.4437  0.2998  0.5000
Pd  0.5000  0.0000  0.5000
Pd  0.5563  0.7002  0.5000
Pd  0.7002  0.4437  0.5000
Pd  0.7998  0.9437  0.5000
Pd  0.9437  0.2002  0.5000

Output
ΔH_f (0 K): -0.2850 eV per atom
Spin magnetization: 0.0 μB/f.u.

---

(2)
Cu3SiB | PBE-GGA | relaxed

Lattice parameters (Å, degrees): 4.3859 4.3859 4.3859 90.00 90.00 90.00
Positions (direct):
Cu  0.0000  0.0000  0.5000
Cu  0.0000  0.5000  0.0000
Cu  0.5000  0.0000  0.0000
Si  0.0000  0.0000  0.0000
B  0.5000  0.5000  0.5000

Output
Energy relative to the lowest polymorph listed for this composition: 833.9 meV/atom
Spin magnetization: 0.0 μB/f.u.
Raw formation energy: 6.19 eV per formula unit

---

(3)
Li2MgIn2 | PBE-GGA | relaxed

Lattice parameters (Å, degrees): 5.2426 5.2426 6.8574 128.62 128.62 50.38
Positions (direct):
Li  0.0915  0.0915  0.3905
Li  0.9085  0.9085  0.6095
Mg  0.5000  0.5000  0.0000
In  0.2959  0.2959  0.2084
In  0.7041  0.7041  0.7916

Output
Energy relative to the lowest polymorph listed for this composition: 0.0 meV/atom
ΔH_f (0 K): -0.2024 eV per atom
Spin magnetization: 0.0 μB/f.u.

---

(4)
CaLaZn2 | PBE-GGA | relaxed

Lattice parameters (Å, degrees): 6.7962 6.7962 6.7962 107.32 107.32 113.86
Positions (direct):
Ca  0.0000  0.0000  0.0000
Ca  0.7500  0.2500  0.5000
La  0.2500  0.7500  0.5000
La  0.5000  0.5000  0.0000
Zn  0.1223  0.6250  0.9973
Zn  0.3750  0.3723  0.4973
Zn  0.6277  0.1250  0.0027
Zn  0.8750  0.8777  0.5027

Output
Energy relative to the lowest polymorph listed for this composition: 395.2 meV/atom
ΔH_f (0 K): 0.0856 eV per atom
Spin magnetization: 0.0 μB/f.u.

---

(5)
RbSrIr2 | PBE-GGA | relaxed

Lattice parameters (Å, degrees): 11.0129 11.0129 11.0129 153.91 153.91 37.22
Positions (direct):
Rb  0.0000  0.0000  0.0000
Rb  0.7500  0.2500  0.5000
Sr  0.2500  0.7500  0.5000
Sr  0.5000  0.5000  0.0000
Ir  0.3413  0.6250  0.2163
Ir  0.3750  0.5913  0.7163
Ir  0.4087  0.1250  0.7837
Ir  0.8750  0.6587  0.2837

Output
Energy relative to the lowest polymorph listed for this composition: 0.0 meV/atom
ΔH_f (0 K): 0.7172 eV per atom
Spin magnetization: 0.0 μB/f.u.

---

(6)
TlCuPd2Cl6 | PBE-GGA | relaxed

Lattice parameters (Å, degrees): 6.4212 6.6486 7.2523 74.11 86.55 68.95
Positions (direct):
Tl  0.0000  0.0000  0.0000
Cu  0.3054  0.2126  0.3348
Pd  0.6313  0.0759  0.8069
Pd  0.7347  0.4798  0.0331
Cl  0.2824  0.1226  0.6660
Cl  0.3256  0.9069  0.2346
Cl  0.4745  0.4354  0.8492
Cl  0.6547  0.2389  0.3082
Cl  0.8087  0.7233  0.7580
........

On Saturday, I had to drive my mother June to Pensacola, FL. so she could fly back to Iowa. Her flight was early so we had to get up and leave Gulf Shores at 6:30. After I saw her off, I drove to the Cordova Mall in Pensacola. Joe was to fly in later that day around 2:30, leaving me around a 5 1/2 hour wait. As I pulled into the parking lot of the mall, Alisha called and said she and her kids would drive to the mall and spend the day with me.

After going to Buffalo Wild Wings for lunch the kids enjoyed driving the ice cream truck in the mall.

Noah drove the truck and Maddie enjoyed the ride.

The kids had to ride in the space ship also before we continued our walk around the mall.
At Cordova Mall there was a vendor that has a trampoline with a harness that allows high jumps and swings. Noah would not have anything to do with it, but little Maddie wanted to do it. The sign said anyone of any age and weight could do it. They got Maddie harnessed up, and told us that if she backed out I would get my my money ($6) back. Surprisingly she loved it, and only cried when she was taken out of the harness and couldn't do it anymore. Alisha said she knew Maddie is going to be her dare devil and one that was going to cause her worry. Even though Maddie is 2 years old she looks much younger because she is still wearing 12 month old clothing. She is in the 5% for her weight for her age and 4% for her height for her age. Madalena might be our itty- bitty half pint, but she has a huge personality!
 Joe called me around 1PM and told me his flight was canceled for a few hours, because of computer problems in the plane cockpit.. They were going to try to get the flight off the ground later that day. Two hours later, he called me back and said the flight was canceled for the day. Delta was putting Joe up for the night in a hotel and I was going to have to drive back to Pensacola the next day. Below is a video of Maddie enjoying her jump and swing to the ceiling of the mall.

The next day we went to Alisha's church, Christian Life Church. We were getting the little ones tagged with a number to put them in the nursery.

We picked up the kids after church. Noah has had "B" his bear since he was a baby. He still carries "B" everywhere he goes. We wonder when "B" will become a home bear for good.

 After church I drove back to Pensacola to pick up Joe. The drive to the airport in Pensacola, FL is a hour drive.

On  the way home I wanted to do some exploring, so I took a road going south from Hwy. 98. We ended up at Amica Bay.

Across from Amica Bay, we could see Orange Beach, which is the next town east from Gulf Shores, AL, along the coast of the Gulf of Mexico.

We were in the community of Josephine. The water is much clearer in this bay.


Monday, December 3, 2012

== Calculated crystals that have nothing to do with the page ==
┌──
Record 1
SbH2Os: optimized geometry, PBE.

Cell: 6.382 3.115 5.371 Å, 90.00 90.44 90.00°
Fractional coordinates of all 8 atoms:
Sb1 0.620 0.000 0.745
Sb2 0.620 0.500 0.245
H1 0.193 0.000 0.071
H2 0.193 0.500 0.571
H3 0.040 0.000 0.405
H4 0.040 0.500 0.905
Os1 0.296 0.000 0.407
Os2 0.296 0.500 0.907

## Properties
SG: Cm, No. 8
Magnetization in μB per cell: 0.000
DFT total energy in eV/atom: -5.204
Energy above the most stable polymorph in this dataset in eV/f.u.: 0.596

Record 2
SbH6Os: optimized geometry, PBE.

Cell: 4.400 4.402 5.522 Å, 72.64 75.60 107.35°
Fractional coordinates of all 8 atoms:
Sb1 0.500 0.500 0.000
H1 0.789 0.870 0.347
H2 0.872 0.300 0.824
H3 0.287 0.968 0.740
H4 0.128 0.700 0.176
H5 0.211 0.130 0.653
H6 0.713 0.032 0.260
Os1 0.000 0.000 0.000

## Properties
SG: P-1, No. 2
Magnetization in μB per cell: 0.000
DFT total energy in eV/atom: -4.174

Record 3
SbH2Os: optimized geometry, PBE.

Cell: 3.164 4.785 6.902 Å, 90.00 90.00 90.00°
Fractional coordinates of all 8 atoms:
Sb1 0.000 0.000 0.614
Sb2 0.500 0.500 0.114
H1 0.000 0.500 0.555
H2 0.500 0.000 0.055
H3 0.000 0.000 0.181
H4 0.500 0.500 0.681
Os1 0.000 0.500 0.792
Os2 0.500 0.000 0.292

## Properties
SG: Imm2, No. 44
Magnetization in μB per cell: 0.000
DFT total energy in eV/atom: -5.304
Energy above the most stable polymorph in this dataset in eV/f.u.: 0.197

Record 4
TlSb2HOs: optimized geometry, PBE.

Cell: 4.457 4.729 4.457 Å, 90.00 90.00 90.00°
Fractional coordinates of all 5 atoms:
Sb1 0.000 0.000 0.500
Sb2 0.500 0.000 0.000
Tl1 0.000 0.500 0.000
Os1 0.500 0.500 0.500
H1 0.000 0.000 0.000

## Properties
SG: P4/mmm, No. 123
Magnetization in μB per cell: 0.000
DFT total energy in eV/atom: -4.048

Record 5
ZrSbH2Os: optimized geometry, PBE.

Cell: 3.871 5.150 3.871 Å, 90.00 90.00 90.00°
Fractional coordinates of all 5 atoms:
Sb1 0.000 0.500 0.000
Os1 0.000 0.000 0.000
Zr1 0.500 0.500 0.500
H1 0.000 0.000 0.500
H2 0.500 0.000 0.000

## Properties
SG: P4/mmm, No. 123
Magnetization in μB per cell: 0.000
DFT total energy in eV/atom: -5.636

Record 6
Sc2HOs: optimized geometry, PBE.

Cell: 6.155 6.155 5.400 Å, 55.25 55.25 90.00°
Fractional coordinates of all 8 atoms:
Sc1 0.544 0.125 0.250
Sc2 0.206 0.625 0.250
Sc3 0.375 0.456 0.750
Sc4 0.875 0.794 0.750
H1 0.500 0.500 0.000
H2 0.250 0.750 0.500
Os1 0.000 0.000 0.000
Os2 0.750 0.250 0.500

## Properties
SG: I-42d, No. 122
Magnetization in μB per cell: 0.000
DFT total energy in eV/atom: -6.962
Energy above the most stable polymorph in this dataset in eV/f.u.: 0.823

Record 7
ScHOs2: optimized geometry, PBE.

Cell: 4.274 4.274 4.274 Å, 60.00 60.00 60.00°
Fractional coordinates of all 4 atoms:
Sc1 0.500 0.500 0.500
H1 0.000 0.000 0.000
Os1 0.250 0.250 0.250
Os2 0.750 0.750 0.750

## Properties
SG: Fm-3m, No. 225
Magnetization in μB per cell: 0.000
DFT total energy in eV/atom: -7.006
Energy above the most stable polymorph in this dataset in eV/f.u.: 3.278

Record 8
ScH2Os: optimized geometry, PBE.
└──
== End of the calculated crystals ==

Annual Thanksgiving Program

Wednesday 11/21/12

I always enjoying going to the Annual Thanksgiving Program at the kids day care. ( But also don't enjoy it, as I will tell you why later)! Here is Maddie's very small class.  (Maddie is the little blonde on the left). Her class was not in the program. They just sat in the front row and watch the older children.

This is Noah's class.

Noah is the last little boy on the right. He had been worrying 2 weeks prior the preformance. The first few minutes, when he came out on the stage, he was doing well.

He tried so hard to be brave, but his anxiety overwhelmed him

and he just could not hold back the tears. Tears fild my eyes as I thought of all the years he was going to have to endure this torture of shyness and stage fright in school programs and speeches. My grandchildren have been passed down the family gene curse of stage fright and anxiety. His mom Alisha, would start to worry weeks before her dance rehersal's and alway would cry before the preformance, not wanting to go on the stage. After the preformance she would say she wanted to take dance class the next year. She did this for many years of dance class. Her daughter Hayleah, was in dance class one year, but never made it to the stage for her preformance. My grandmother had anxiety, which was passed down to my mother and many, many, many members of my family. I don.t think kids should be made to be put through this fear for all their lives. Not all of us are meant to be on the stage or even in front of a small groups of people. All I can say, is I am glad those years are over for me, but I feel for my grandchilren who have this gene passed on to them. I never out grew this fear and still to deal with anxiety in certain situations.

After the preformance, we got to enjoy a Thanksgiving dinner provided by the day care and the parents of the children.
Noah was much happier when it was all over. This is a picture of my daughter Alisha's three children, Hayleah, Noah and Maddie. My other grandchild, Lennox use to go to this day care, but now attends a different day care. Lucky for him, he doesn't have to be put through this misery. The year he attended this day care he had a melt down too during the program.

Friday, November 30, 2012

Blake's 30th Birthday & Following Hayleah For The Day

Sunday 11/18/2012

A couple of days after Maddie's 2nd birthday, we celebrated Blake's ( my 2nd daughters Tiffany's boyfriends ) 30th birthday.

Blake was blessed with two birthday cakes, because I found a yummy Reese's ice cream cake at Wal-Mart that day.

Lennox helped his dad open his presents. Blake's mom and step dad had just arrived that day from Iowa.

The next day my mom and I followed Hayleah around the area, while she took photographs for her art class. We first went to the Wharf in Orange Beach, AL. The Wharf is an outside shopping mall.

**Someone pasted materials data at this point:**
~~~
Material: AcMgGe
Method: DFT, GGA-PBE
State: relaxed

For the density, the calculation gives 6.41 g/cm³. The formation energy is -0.52 eV per atom. For the offset from the most stable computed form, the calculation gives 0.0382 eV/atom.

a = 4.6134 Å, b = 4.5847 Å, c = 4.5847 Å
α = 120.00°, β = 90.00°, γ = 90.00°
Last column: nearest neighbours and their distance in Å.
Element x y z (fractional)
Ge 0.1665 0.0000 0.0000  3 Mg 2.65
Ac 0.6668 0.6667 0.3333  6 Ge 3.51, 6 Mg 3.51
Mg 0.1668 0.3333 0.6667  3 Ge 2.65

=====

No. 1
Density functional theory data (PBE-GGA) for a relaxed structure of Ti2TlIr.

For the offset from the most stable computed form, the calculation gives 0.000 eV per atom. The formation energy comes out at -122 meV/atom.

The space group is Fm-3m (No. 225) and the conventional cell measures 6.529, 6.529 and 6.529 Å, with angles of 90.00, 90.00 and 90.00 degrees. Symmetry generates all atoms from Ti at (0.250, 0.250, 0.250), Tl at (0.000, 0.000, 0.000) and Ir at (0.000, 0.000, 0.500).



No. 2
Density functional theory data (PBE-GGA) for a relaxed structure of Ti2TlIr.

For the offset from the most stable computed form, the calculation gives 0.186 eV per atom. The formation energy comes out at 64 meV/atom.

The space group is I-42d (No. 122) and the conventional cell measures 7.319, 7.319 and 5.880 Å, with angles of 90.00, 90.00 and 90.00 degrees. Symmetry generates all atoms from Ti at (0.199, 0.250, 0.125), Tl at (0.000, 0.000, 0.500) and Ir at (0.000, 0.000, 0.000).



No. 3
Density functional theory data (PBE-GGA) for a relaxed structure of TiTl2Ir.

For the offset from the most stable computed form, the calculation gives 0.000 eV per atom. The formation energy comes out at 337 meV/atom.

The space group is Fm-3m (No. 225) and the conventional cell measures 6.734, 6.734 and 6.734 Å, with angles of 90.00, 90.00 and 90.00 degrees. Symmetry generates all atoms from Ti at (0.000, 0.000, 0.000), Tl at (0.250, 0.250, 0.250) and Ir at (0.000, 0.000, 0.500).



No. 4
Density functional theory data (PBE-GGA) for a relaxed structure of Ti2TlVIr.

The formation energy comes out at 949 meV/atom.

The space group is P4/mmm (No. 123) and the conventional cell measures 4.731, 4.731 and 5.110 Å, with angles of 90.00, 90.00 and 90.00 degrees. Symmetry generates all atoms from Ti at (0.000, 0.500, 0.000), Tl at (0.000, 0.000, 0.500), V at (0.500, 0.500, 0.500) and Ir at (0.000, 0.000, 0.000).



No. 5
Density functional theory data (PBE-GGA) for a relaxed structure of TmTiIr.

For the offset from the most stable computed form, the calculation gives 0.000 eV per atom. The formation energy comes out at -723 meV/atom.

The space group is P4/nmm (No. 129, origin choice 2) and the conventional cell measures 4.331, 4.331 and 6.585 Å, with angles of 90.00, 90.00 and 90.00 degrees. Symmetry generates all atoms from Tm at (0.250, 0.250, 0.143), Ti at (0.250, 0.750, 0.500) and Ir at (0.250, 0.250, 0.708).



No. 6
~~~

The Wharf sign on the Ferris wheel.


Hayleah took some really neat pictures that was done by a technique called HDR ( High Dynamic Range). I wish I had them to show on my blog but I don't.

Hayleah is thinking of following in her mothers footsteps.

My photograph of my soon to be Nana girl photographer.
We also went to the Gulf State Park Pier.

I had Mallery with me that day because she had got a immunization, and I didn't want to leave her alone,, in case she had a reaction. I had to stay in the parking lot, because dogs are not allowed anywhere on the pier or beach.

Once back home Maddie posed for a picture with her hat on. I was lucky to get this picture, because she put the hat on for just a few seconds. I wanted to put the hat on her, but she has become very independent and has to do everything by her self!